********
No. 1
Ti3Zn3Ni: calculated powder XRD pattern (λ = 1.5418 Å (Cu Kα)), based on DFT lattice parameters and positions (PBE).
Neutral-atom scattering factors, no anomalous dispersion.

Cell and atoms:
a b c (Å): 12.1107 12.1107 12.1107
angles (deg): 90.00 90.00 90.00
Space group Fd-3m (No. 227, origin choice 2)
Inequivalent atoms, fractional coordinates:
1 Ti 0.0868 0.3750 0.3750 x48
2 Zn 0.0000 0.0000 0.5000 x16
3 Zn 0.0359 0.0359 0.7141 x32
4 Ni 0.0000 0.0000 0.0000 x16

The 8 most intense peaks (10° ≤ 2θ ≤ 90°), by intensity:
- 42.2°, rel. 100.0, (4 4 0)
- 38.6°, rel. 76.4, (3 3 3)
- 36.3°, rel. 19.6, (4 2 2)
- 50.0°, rel. 17.5, (6 2 2)
- 29.5°, rel. 16.6, (4 0 0)
- 65.4°, rel. 14.8, (6 6 0)
- 82.8°, rel. 14.6, (10 2 2)
- 58.5°, rel. 14.0, (7 3 1)

No. 2
Ti4Zn10Ni: calculated powder XRD pattern (λ = 1.5418 Å (Cu Kα)), based on DFT lattice parameters and positions (PBE).
Neutral-atom scattering factors, no anomalous dispersion.

Cell and atoms:
```
data_Ti4Zn10Ni
_chemical_formula_sum 'Ti8 Zn20 Ni2'
_symmetry_space_group_name_H-M 'I 4/m m m'
_symmetry_Int_Tables_number 139
_symmetry_space_group_name_Hall '-I 4 2'
_cell_length_a 8.6340
_cell_length_b 8.6340
_cell_length_c 6.3345
_cell_angle_alpha 90.00
_cell_angle_beta 90.00
_cell_angle_gamma 90.00
loop_
_atom_site_label
_atom_site_type_symbol
_atom_site_fract_x
_atom_site_fract_y
_atom_site_fract_z
Ti1 Ti 0.2243 0.2243 0.0000
Zn1 Zn 0.0000 0.2085 0.2972
Zn2 Zn 0.0000 0.5000 0.2500
Ni1 Ni 0.0000 0.0000 0.0000
```

The 8 most intense peaks (10° ≤ 2θ ≤ 90°), by intensity:
- 41.9°, rel. 100.0, (4 0 0)
- 41.1°, rel. 85.7, (2 2 2)
- 40.3°, rel. 56.3, (3 2 1)
- 53.5°, rel. 51.4, (3 3 2)
- 43.8°, rel. 51.0, (3 1 2)
- 35.1°, rel. 44.3, (2 0 2)
- 44.2°, rel. 38.6, (1 0 3)
- 32.8°, rel. 30.9, (3 1 0)

No. 3
TiZnNi5: calculated powder XRD pattern (λ = 1.5418 Å (Cu Kα)), based on DFT lattice parameters and positions (PBE).
Neutral-atom scattering factors, no anomalous dispersion.

Cell and atoms:
```
data_TiZnNi5
_chemical_formula_sum 'Ti4 Zn4 Ni20'
_symmetry_space_group_name_H-M 'C 1 2/c 1'
_symmetry_Int_Tables_number 15
_symmetry_space_group_name_Hall '-C 2yc'
_cell_length_a 6.0674
_cell_length_b 6.9007
_cell_length_c 8.5474
_cell_angle_alpha 90.00
_cell_angle_beta 109.07
_cell_angle_gamma 90.00
loop_
_atom_site_label
_atom_site_type_symbol
_atom_site_fract_x
_atom_site_fract_y
_atom_site_fract_z
Ti1 Ti 0.0000 0.2340 0.2500
Zn1 Zn 0.2500 0.2500 0.0000
Ni1 Ni 0.0000 0.1140 0.7500
Ni2 Ni 0.1048 0.4445 0.6501
Ni3 Ni 0.1808 0.0941 0.5422
```

The 8 most intense peaks (10° ≤ 2θ ≤ 90°), by intensity:
- 44.4°, rel. 100.0, (2 0 2)
- 45.2°, rel. 91.5, (1 3 1)
- 47.4°, rel. 36.4, (3 1 -2)
- 46.2°, rel. 33.6, (2 2 -3)
- 41.4°, rel. 23.7, (2 2 -2)
- 63.6°, rel. 14.4, (0 2 5)
- 82.2°, rel. 12.7, (3 3 3)
- 66.9°, rel. 9.8, (2 4 -3)

What did the second record say?
Ti4Zn10Ni: calculated powder XRD pattern (λ = 1.5418 Å (Cu Kα)), based on DFT lattice parameters and positions (PBE).
Neutral-atom scattering factors, no anomalous dispersion.

Cell and atoms:
```
data_Ti4Zn10Ni
_chemical_formula_sum 'Ti8 Zn20 Ni2'
_symmetry_space_group_name_H-M 'I 4/m m m'
_symmetry_Int_Tables_number 139
_symmetry_space_group_name_Hall '-I 4 2'
_cell_length_a 8.6340
_cell_length_b 8.6340
_cell_length_c 6.3345
_cell_angle_alpha 90.00
_cell_angle_beta 90.00
_cell_angle_gamma 90.00
loop_
_atom_site_label
_atom_site_type_symbol
_atom_site_fract_x
_atom_site_fract_y
_atom_site_fract_z
Ti1 Ti 0.2243 0.2243 0.0000
Zn1 Zn 0.0000 0.2085 0.2972
Zn2 Zn 0.0000 0.5000 0.2500
Ni1 Ni 0.0000 0.0000 0.0000
```

The 8 most intense peaks (10° ≤ 2θ ≤ 90°), by intensity:
- 41.9°, rel. 100.0, (4 0 0)
- 41.1°, rel. 85.7, (2 2 2)
- 40.3°, rel. 56.3, (3 2 1)
- 53.5°, rel. 51.4, (3 3 2)
- 43.8°, rel. 51.0, (3 1 2)
- 35.1°, rel. 44.3, (2 0 2)
- 44.2°, rel. 38.6, (1 0 3)
- 32.8°, rel. 30.9, (3 1 0)

* * * * *

Theoretical X-ray diffraction stick pattern
Compound: ScFe3P3
Radiation: λ = 1.5418 Å (Cu Kα)
********

Next, retype all of the contents further above word for word.

No. 1
Ti3Zn3Ni: calculated powder XRD pattern (λ = 1.5418 Å (Cu Kα)), based on DFT lattice parameters and positions (PBE).
Neutral-atom scattering factors, no anomalous dispersion.

Cell and atoms:
a b c (Å): 12.1107 12.1107 12.1107
angles (deg): 90.00 90.00 90.00
Space group Fd-3m (No. 227, origin choice 2)
Inequivalent atoms, fractional coordinates:
1 Ti 0.0868 0.3750 0.3750 x48
2 Zn 0.0000 0.0000 0.5000 x16
3 Zn 0.0359 0.0359 0.7141 x32
4 Ni 0.0000 0.0000 0.0000 x16

The 8 most intense peaks (10° ≤ 2θ ≤ 90°), by intensity:
- 42.2°, rel. 100.0, (4 4 0)
- 38.6°, rel. 76.4, (3 3 3)
- 36.3°, rel. 19.6, (4 2 2)
- 50.0°, rel. 17.5, (6 2 2)
- 29.5°, rel. 16.6, (4 0 0)
- 65.4°, rel. 14.8, (6 6 0)
- 82.8°, rel. 14.6, (10 2 2)
- 58.5°, rel. 14.0, (7 3 1)

No. 2
Ti4Zn10Ni: calculated powder XRD pattern (λ = 1.5418 Å (Cu Kα)), based on DFT lattice parameters and positions (PBE).
Neutral-atom scattering factors, no anomalous dispersion.

Cell and atoms:
```
data_Ti4Zn10Ni
_chemical_formula_sum 'Ti8 Zn20 Ni2'
_symmetry_space_group_name_H-M 'I 4/m m m'
_symmetry_Int_Tables_number 139
_symmetry_space_group_name_Hall '-I 4 2'
_cell_length_a 8.6340
_cell_length_b 8.6340
_cell_length_c 6.3345
_cell_angle_alpha 90.00
_cell_angle_beta 90.00
_cell_angle_gamma 90.00
loop_
_atom_site_label
_atom_site_type_symbol
_atom_site_fract_x
_atom_site_fract_y
_atom_site_fract_z
Ti1 Ti 0.2243 0.2243 0.0000
Zn1 Zn 0.0000 0.2085 0.2972
Zn2 Zn 0.0000 0.5000 0.2500
Ni1 Ni 0.0000 0.0000 0.0000
```

The 8 most intense peaks (10° ≤ 2θ ≤ 90°), by intensity:
- 41.9°, rel. 100.0, (4 0 0)
- 41.1°, rel. 85.7, (2 2 2)
- 40.3°, rel. 56.3, (3 2 1)
- 53.5°, rel. 51.4, (3 3 2)
- 43.8°, rel. 51.0, (3 1 2)
- 35.1°, rel. 44.3, (2 0 2)
- 44.2°, rel. 38.6, (1 0 3)
- 32.8°, rel. 30.9, (3 1 0)

No. 3
TiZnNi5: calculated powder XRD pattern (λ = 1.5418 Å (Cu Kα)), based on DFT lattice parameters and positions (PBE).
Neutral-atom scattering factors, no anomalous dispersion.

Cell and atoms:
```
data_TiZnNi5
_chemical_formula_sum 'Ti4 Zn4 Ni20'
_symmetry_space_group_name_H-M 'C 1 2/c 1'
_symmetry_Int_Tables_number 15
_symmetry_space_group_name_Hall '-C 2yc'
_cell_length_a 6.0674
_cell_length_b 6.9007
_cell_length_c 8.5474
_cell_angle_alpha 90.00
_cell_angle_beta 109.07
_cell_angle_gamma 90.00
loop_
_atom_site_label
_atom_site_type_symbol
_atom_site_fract_x
_atom_site_fract_y
_atom_site_fract_z
Ti1 Ti 0.0000 0.2340 0.2500
Zn1 Zn 0.2500 0.2500 0.0000
Ni1 Ni 0.0000 0.1140 0.7500
Ni2 Ni 0.1048 0.4445 0.6501
Ni3 Ni 0.1808 0.0941 0.5422
```

The 8 most intense peaks (10° ≤ 2θ ≤ 90°), by intensity:
- 44.4°, rel. 100.0, (2 0 2)
- 45.2°, rel. 91.5, (1 3 1)
- 47.4°, rel. 36.4, (3 1 -2)
- 46.2°, rel. 33.6, (2 2 -3)
- 41.4°, rel. 23.7, (2 2 -2)
- 63.6°, rel. 14.4, (0 2 5)
- 82.2°, rel. 12.7, (3 3 3)
- 66.9°, rel. 9.8, (2 4 -3)

What did the second record say?
Ti4Zn10Ni: calculated powder XRD pattern (λ = 1.5418 Å (Cu Kα)), based on DFT lattice parameters and positions (PBE).
Neutral-atom scattering factors, no anomalous dispersion.

Cell and atoms:
```
data_Ti4Zn10Ni
_chemical_formula_sum 'Ti8 Zn20 Ni2'
_symmetry_space_group_name_H-M 'I 4/m m m'
_symmetry_Int_Tables_number 139
_symmetry_space_group_name_Hall '-I 4 2'
_cell_length_a 8.6340
_cell_length_b 8.6340
_cell_length_c 6.3345
_cell_angle_alpha 90.00
_cell_angle_beta 90.00
_cell_angle_gamma 90.00
loop_
_atom_site_label
_atom_site_type_symbol
_atom_site_fract_x
_atom_site_fract_y
_atom_site_fract_z
Ti1 Ti 0.2243 0.2243 0.0000
Zn1 Zn 0.0000 0.2085 0.2972
Zn2 Zn 0.0000 0.5000 0.2500
Ni1 Ni 0.0000 0.0000 0.0000
```

The 8 most intense peaks (10° ≤ 2θ ≤ 90°), by intensity:
- 41.9°, rel. 100.0, (4 0 0)
- 41.1°, rel. 85.7, (2 2 2)
- 40.3°, rel. 56.3, (3 2 1)
- 53.5°, rel. 51.4, (3 3 2)
- 43.8°, rel. 51.0, (3 1 2)
- 35.1°, rel. 44.3, (2 0 2)
- 44.2°, rel. 38.6, (1 0 3)
- 32.8°, rel. 30.9, (3 1 0)

* * * * *

Theoretical X-ray diffraction stick pattern
Compound: ScFe3P3
Radiation: λ = 1.5418 Å (Cu Kα)